In Europe, the Commission is responding to mounting pressure to improve animal welfare standards across the bloc.
Not only has the EC announced plans to phase out caged farming, but the Farm to Fork strategy has called for harmonised legislation on animal welfare labelling.
Without an EU-wide scheme currently in place, voluntary animal welfare labelling schemes are cropping up in various Member States. The Étiquette Bien-être Animal (Animal Welfare Label) in France, is one such example.
What could the European Commission learn from this particular labelling scheme, which signals both the animal welfare standard and method of production to consumers?
Quite a lot, according to Compassion in World Farming (CIWF), who at a recent European Food Forum (EFF) event made its case for the rollout of a mandatory, EU-wide animal welfare labelling scheme founded on the same principles.
The lay of the land
Globally, as well as in Europe, the vast majority of farm animals are reared in intensive systems.
While CIWF, which advocates for the improvement of animal welfare for farmed animals, admits calculating exact figures is a challenge (due to animal welfare variation between species and countries), the charity estimates that 80% of farm animals are reared in intensive systems.
This, Amélie Legrand, Global Head of Research (Food Business) at CIWF said, means animals have been raised with high stock density in ‘barren environments’, with fast-growing genetics and/or high productivity.
At the same time, consumers are increasingly demanding higher welfare standards, and asking for more information concerning production methods on-pack.
“Meat and dairy labels can be misleading,” Legrand told delegates at the event, referring to misleading claims or misleading images presented at points of sale. “So it is very important to [respond to] this consumer demand for honest labelling for higher welfare products.”
The demand is there, she reiterated. “When we ask consumers in Europe…they are highly motivated and highly interested in introducing labelling for animal products regarding animal welfare and method of production.”
A 2013 survey suggested that 83% of UK consumers, 78% of Czech consumers, and 92% of French consumers want method of production (MOP) labelling extended to meat and dairy products.
And 2019 Eurogroup data revealed that 87% of EU respondents agree chicken sold in the EU should be labelling with information about the welfare standards they were raised under.
Putting the chicken before the egg
The EU’s planned proposal for harmonised labelling in animal-sourced foods will not be the first time such a scheme is rolled out across the bloc.
In 2004, the Commission introduced mandatory egg labelling in Europe, responding to consumer demand for higher production methods. This ‘successful’ initiative, according to Legrand, serves as somewhat of a precedent.
Europe’s egg labelling scheme provides consumers with ‘very clear, consistent, transparent information’ concerning the method of production. “Through the codes on the shell of the eggs, we know whether the hen was reared in a cage, in a barn, or in free range or organic systems.”
Specifically, the egg code consists of a number indicating the method of production, a two-letter code for the country of origin, and a registration number indicating the hen laying establishment. The egg stamp is required on all class A eggs sold in the EU, unless sold directly on the farm.
“After this labelling was introduced, we saw a very big jump in consumer demand, over the following years, for cage-free eggs – and that was across European countries,” stressed Legrand. “And obviously as a consequence, cage-free egg production in Europe also increased significantly.”
Unrelated to this entry: records of crystals
+++
[1]
This record from Materials Project describes a relaxed CsH crystal. The functional is r²SCAN.

a b c (Å): 4.5131 4.5131 4.5131
angles (deg): 60.00 60.00 60.00
Element x y z (fractional)
Cs (0.0000, 0.0000, 0.0000)
H (0.5000, 0.5000, 0.5000)

Computed properties:
SG: Fm-3m, No. 225
Energy of formation from the pure elements, kJ/mol of atoms: -23.9
Theoretical density, Mg/m³: 3.42

=====

[2]
This record from Materials Project describes a relaxed CsH crystal. The functional is r²SCAN.

a b c (Å): 3.8184 3.8184 3.8184
angles (deg): 90.00 90.00 90.00
Element x y z (fractional)
Cs (0.0000, 0.0000, 0.0000)
H (0.5000, 0.5000, 0.5000)

Computed properties:
SG: Pm-3m, No. 221
Energy of formation from the pure elements, kJ/mol of atoms: -22.3
Theoretical density, Mg/m³: 3.99

=====

[3]
This record from Materials Project describes a relaxed Cs4Mg3H10 crystal. The functional is r²SCAN.

a b c (Å): 7.9987 7.9987 13.6929
angles (deg): 90.00 90.00 134.10
Element x y z (fractional)
Cs (0.7543, 0.2457, 0.8941)
Cs (0.2457, 0.7543, 0.1059)
Cs (0.7457, 0.2543, 0.3941)
Cs (0.2543, 0.7457, 0.6059)
Cs (0.9537, 0.0463, 0.6393)
Cs (0.0463, 0.9537, 0.3607)
Cs (0.5463, 0.4537, 0.1393)
Cs (0.4537, 0.5463, 0.8607)
Mg (0.6176, 0.3824, 0.6559)
Mg (0.3824, 0.6176, 0.3441)
Mg (0.8824, 0.1176, 0.1559)
Mg (0.1176, 0.8824, 0.8441)
Mg (0.5000, 0.5000, 0.5000)
Mg (0.0000, 0.0000, 0.0000)
H (0.3891, 0.1997, 0.5395)
H (0.1997, 0.3891, 0.4605)
H (0.6997, 0.8891, 0.0395)
H (0.8891, 0.6997, 0.9605)
H (0.6109, 0.8003, 0.4605)
H (0.8003, 0.6109, 0.5395)
H (0.3003, 0.1109, 0.9605)
H (0.1109, 0.3003, 0.0395)
H (0.7455, 0.2545, 0.6469)
H (0.2545, 0.7455, 0.3531)
H (0.7545, 0.2455, 0.1469)
H (0.2455, 0.7545, 0.8531)
H (0.9769, 0.0231, 0.8583)
H (0.0231, 0.9769, 0.1417)
H (0.5231, 0.4769, 0.3583)
H (0.4769, 0.5231, 0.6417)
H (0.3589, 0.1411, 0.7500)
H (0.1411, 0.3589, 0.2500)
H (0.6411, 0.8589, 0.2500)
H (0.8589, 0.6411, 0.7500)

Computed properties:
SG: Cmce, No. 64
Energy of formation from the pure elements, kJ/mol of atoms: -32.6
Theoretical density, Mg/m³: 3.24

=====

[4]
This record from Materials Project describes a relaxed Cs3MgH5 crystal. The functional is r²SCAN.

a b c (Å): 8.6926 8.6926 8.6926
angles (deg): 122.82 122.82 85.19
Element x y z (fractional)
Cs (0.1786, 0.6786, 0.8572)
Cs (0.8214, 0.3214, 0.1428)
Cs (0.6786, 0.8214, 0.5000)
Cs (0.3214, 0.1786, 0.5000)
Cs (0.2500, 0.2500, 0.0000)
Cs (0.7500, 0.7500, 0.0000)
Mg (0.2500, 0.7500, 0.5000)
Mg (0.7500, 0.2500, 0.5000)
H (0.4627, 0.9627, 0.7510)
H (0.2117, 0.7117, 0.2490)
H (0.9627, 0.2117, 0.5000)
H (0.7117, 0.4627, 0.5000)
H (0.5373, 0.0373, 0.2490)
H (0.7883, 0.2883, 0.7510)
H (0.0373, 0.7883, 0.5000)
H (0.2883, 0.5373, 0.5000)
H (0.5000, 0.5000, 0.0000)
H (0.0000, 0.0000, 0.0000)

Computed properties:
SG: I4/mcm, No. 140
Energy of formation from the pure elements, kJ/mol of atoms: -29.7
Theoretical density, Mg/m³: 3.21

=====

[5]
+++
Between 2003 and 2011, cage-free egg production saw an increase of 57% in Austria and Germany, 24% in Italy, and 20% in the UK.
CIWF suspects a mandatory animal welfare labelling scheme in Europe would have the same effect.
In recent years, several voluntary method of production labelling schemes have been developed to expand the EU’s egg code concept into other animal farm species.
In 2007, for example, the Beter Leven (Better Life) standard was introduced in the Netherlands, in 2009 the Für Mehr Tierschutz (For More Animal Welfare) was established in Germany, and in 2015 the RSPCA Assured scheme launched in Great Britain.
But it is a voluntary labelling scheme developed in France, the Étiquette Bien-être Animal (Animal Welfare Label), in 2018 that has CIWF’s attention. Surely because CIWF helped develop the label, but also because it has proved a ‘successful initiative’ for both animals and consumers alike.
Should the EU take a French lesson?
The Étiquette Bien-être Animal labelling scheme was developed by French supermarket retailer Casino in collaboration with NGO partners CIWF, animal rights foundation LFDA, and farm animal protection association OABA.
First rolled out in Casino stores across France, the labelling scheme has since been adopted by supermarket Carrefour, retail company Système U, poultry brand Galliance, and agricultural cooperative Terrena, amongst others.
As the label’s first iteration focuses on the poultry sector, poultry producers Fermiers de Loué and Fermiers du Sud-Ouest also contributed to its development.
The label displays a score from A to E, and also assigns the food product one of five welfare standards: superior, good, quite good, standard, and minimal. The labels depicts in what environment the chicken was raised, be it free range, intensive indoors, or somewhere between the two.
According to Legrand, the label demonstrates transparency by being applicable to all production systems. “That is very important to us,” she explained, “as not only are the better and best systems labelling, but also the standard, more intensive, systems…so the consumer has very transparent information and can compare the different products in-store”.
Further, it is ‘credible’, due to ‘strong’ third-party auditing (every farm and slaughterhouse is audited annually), and ‘robust’, thanks to the 220 criteria used to assess animal welfare standards in the scheme. This includes ‘all stages from birth to slaughter’, including transport.
“Most criteria are compulsory, in the sense that important criteria cannot compensate one another,” she continued.
The scheme was also designed with scale in mind, and after launching in Casino, the label was made available to other companies via an independent association. In the last two years, five poultry producers and joined the scheme, as well as seven ‘big retailers’ – representing more than 60% of the French retail sector.
In supermarkets across the country, more than 30 ranges of chicken products now carry the label.
“To date, there are 19 million chickens per years which are covered by the scheme, which represents 12% of France’s broiler production….and that includes 50% of free-range production.”
From a consumer perspective, CIWF notes almost 30% of shoppers say they pay attention to the label when choosing poultry products.
The Étiquette Bien-être Animal label meets all key recommendations highlighted in the Farm to Fork report, according to Legrand, who suggested the scheme could prove helpful in the Commission’s development of a harmonised approach.
“There could be scope for the Étiquette Bien-être Animal to form a solid basis for a much needed harmonisation of method of production and welfare labelling at EU level.”
Legrand continued: “We believe that consumers need access to transparent, simple, consistent, and easily comparable information on method of production to make informed choices in the retail stores.
“We believe that they have the right to have this information in a systematic way. And that’s why we believe that labelling should be mandatory, but it could indeed follow a voluntary scheme.”